Job.
The reader should retype the whole of the entries below unchanged.

Given.
- - -
(1)
Density functional theory data (PBE-GGA) for crystalline CsY2HgO at its relaxed geometry.

Cell and atoms, written as CIF:
```
data_CsY2HgO
_chemical_formula_sum 'Cs1 Y2 Hg1 O1'
_cell_length_a 5.8974
_cell_length_b 5.8974
_cell_length_c 4.4427
_cell_angle_alpha 90.00
_cell_angle_beta 90.00
_cell_angle_gamma 90.00
_symmetry_space_group_name_H-M 'P 4/m m m'
_symmetry_Int_Tables_number 123
_symmetry_space_group_name_Hall '-P 4 2'
loop_
_atom_site_label
_atom_site_type_symbol
_atom_site_fract_x
_atom_site_fract_y
_atom_site_fract_z
Cs1 Cs 0.0000 0.0000 0.0000
Y1 Y 0.0000 0.5000 0.0000
Hg1 Hg 0.5000 0.5000 0.5000
O1 O 0.0000 0.0000 0.5000
```

Properties
For the total energy, the calculation gives -3.048 eV per atom. As for the magnetization: 0.0 μB per formula unit. As for the uncorrected formation energy: 0.761 eV per atom.

(2)
Density functional theory data (PBE-GGA) for crystalline Cs2ZnHgO at its relaxed geometry.

Cell and atoms, written as CIF:
```
data_Cs2ZnHgO
_chemical_formula_sum 'Cs2 Zn1 Hg1 O1'
_cell_length_a 6.6328
_cell_length_b 6.6328
_cell_length_c 3.9864
_cell_angle_alpha 90.00
_cell_angle_beta 90.00
_cell_angle_gamma 90.00
_symmetry_space_group_name_H-M 'P 4/m m m'
_symmetry_Int_Tables_number 123
_symmetry_space_group_name_Hall '-P 4 2'
loop_
_atom_site_label
_atom_site_type_symbol
_atom_site_fract_x
_atom_site_fract_y
_atom_site_fract_z
Cs1 Cs 0.0000 0.5000 0.0000
Zn1 Zn 0.0000 0.0000 0.5000
Hg1 Hg 0.5000 0.5000 0.5000
O1 O 0.0000 0.0000 0.0000
```

Properties
For the total energy, the calculation gives -2.149 eV per atom. As for the magnetization: 0.0 μB per formula unit. As for the uncorrected formation energy: -0.501 eV per atom.

* * * * *

First-principles (PBE) data for a geometry-optimized Li3HoSc2Te6 structure, as listed in Alexandria via LeMat-Bulk.

Properties
Calculated volume ... 323 Å³/f.u.
Uncorrected formation energy ... -1.211 eV per atom
SG ... C2/m, No. 12

a = 7.306 Å, b = 7.306 Å, c = 7.410 Å
α = 99.48°, β = 99.48°, γ = 120.01°
Fractional coordinates of all 12 atoms:
1 Li 0.000 0.000 0.000
2 Li 0.337 0.663 0.000
3 Li 0.663 0.337 0.000
4 Ho 0.500 0.500 0.500
5 Sc 0.167 0.833 0.500
6 Sc 0.833 0.167 0.500
7 Te 0.073 0.417 0.253
8 Te 0.238 0.238 0.748
9 Te 0.417 0.073 0.253
10 Te 0.583 0.927 0.747
11 Te 0.762 0.762 0.252
12 Te 0.927 0.583 0.747


First-principles (PBE) data for a geometry-optimized Tb3SnGe2 structure, as listed in Alexandria via LeMat-Bulk.

Properties
Calculated volume ... 147 Å³/f.u.
Fermi-level density of states ... 7.3 states/eV/cell
Energy relative to the elements ... -0.63 eV per atom
Polymorph energy (0 for the lowest one) ... 2.13 kcal/mol of atoms
SG ... Cmmm, No. 65

a = 4.404 Å, b = 15.909 Å, c = 4.206 Å
α = 90.00°, β = 90.00°, γ = 90.00°
Fractional coordinates of all 12 atoms:
1 Tb 0.000 0.000 0.000
2 Tb 0.000 0.171 0.500
3 Tb 0.000 0.829 0.500
4 Tb 0.500 0.329 0.500
5 Tb 0.500 0.500 0.000
6 Tb 0.500 0.671 0.500
7 Sn 0.000 0.500 0.500
8 Sn 0.500 0.000 0.500
9 Ge 0.000 0.346 0.000
10 Ge 0.000 0.654 0.000
11 Ge 0.500 0.154 0.000
12 Ge 0.500 0.846 0.000

* * * * *

(1)
Density functional theory data (PBE) for a relaxed structure of NaMgAuSe2.

As for the raw formation energy: -874 meV/atom.

It has space group P2/c (No. 13), with a = 6.0700 Å, b = 6.1202 Å, c = 7.0692 Å, α = 90.00°, β = 90.24° and γ = 90.00°. The distinct sites, in fractional coordinates, are Na at (0.0000, 0.0023, 0.2500), Mg at (0.5000, 0.5002, 0.2500), Au at (0.5000, 0.0000, 0.0000) and Se at (0.2399, 0.3093, 0.9991).

---

(2)
Density functional theory data (PBE) for a relaxed structure of Na2MgSi3Au12.

As for the raw formation energy: -55 meV/atom.
- - -

Reply.
(1)
Density functional theory data (PBE-GGA) for crystalline CsY2HgO at its relaxed geometry.

Cell and atoms, written as CIF:
```
data_CsY2HgO
_chemical_formula_sum 'Cs1 Y2 Hg1 O1'
_cell_length_a 5.8974
_cell_length_b 5.8974
_cell_length_c 4.4427
_cell_angle_alpha 90.00
_cell_angle_beta 90.00
_cell_angle_gamma 90.00
_symmetry_space_group_name_H-M 'P 4/m m m'
_symmetry_Int_Tables_number 123
_symmetry_space_group_name_Hall '-P 4 2'
loop_
_atom_site_label
_atom_site_type_symbol
_atom_site_fract_x
_atom_site_fract_y
_atom_site_fract_z
Cs1 Cs 0.0000 0.0000 0.0000
Y1 Y 0.0000 0.5000 0.0000
Hg1 Hg 0.5000 0.5000 0.5000
O1 O 0.0000 0.0000 0.5000
```

Properties
For the total energy, the calculation gives -3.048 eV per atom. As for the magnetization: 0.0 μB per formula unit. As for the uncorrected formation energy: 0.761 eV per atom.

(2)
Density functional theory data (PBE-GGA) for crystalline Cs2ZnHgO at its relaxed geometry.

Cell and atoms, written as CIF:
```
data_Cs2ZnHgO
_chemical_formula_sum 'Cs2 Zn1 Hg1 O1'
_cell_length_a 6.6328
_cell_length_b 6.6328
_cell_length_c 3.9864
_cell_angle_alpha 90.00
_cell_angle_beta 90.00
_cell_angle_gamma 90.00
_symmetry_space_group_name_H-M 'P 4/m m m'
_symmetry_Int_Tables_number 123
_symmetry_space_group_name_Hall '-P 4 2'
loop_
_atom_site_label
_atom_site_type_symbol
_atom_site_fract_x
_atom_site_fract_y
_atom_site_fract_z
Cs1 Cs 0.0000 0.5000 0.0000
Zn1 Zn 0.0000 0.0000 0.5000
Hg1 Hg 0.5000 0.5000 0.5000
O1 O 0.0000 0.0000 0.0000
```

Properties
For the total energy, the calculation gives -2.149 eV per atom. As for the magnetization: 0.0 μB per formula unit. As for the uncorrected formation energy: -0.501 eV per atom.

* * * * *

First-principles (PBE) data for a geometry-optimized Li3HoSc2Te6 structure, as listed in Alexandria via LeMat-Bulk.

Properties
Calculated volume ... 323 Å³/f.u.
Uncorrected formation energy ... -1.211 eV per atom
SG ... C2/m, No. 12

a = 7.306 Å, b = 7.306 Å, c = 7.410 Å
α = 99.48°, β = 99.48°, γ = 120.01°
Fractional coordinates of all 12 atoms:
1 Li 0.000 0.000 0.000
2 Li 0.337 0.663 0.000
3 Li 0.663 0.337 0.000
4 Ho 0.500 0.500 0.500
5 Sc 0.167 0.833 0.500
6 Sc 0.833 0.167 0.500
7 Te 0.073 0.417 0.253
8 Te 0.238 0.238 0.748
9 Te 0.417 0.073 0.253
10 Te 0.583 0.927 0.747
11 Te 0.762 0.762 0.252
12 Te 0.927 0.583 0.747


First-principles (PBE) data for a geometry-optimized Tb3SnGe2 structure, as listed in Alexandria via LeMat-Bulk.

Properties
Calculated volume ... 147 Å³/f.u.
Fermi-level density of states ... 7.3 states/eV/cell
Energy relative to the elements ... -0.63 eV per atom
Polymorph energy (0 for the lowest one) ... 2.13 kcal/mol of atoms
SG ... Cmmm, No. 65

a = 4.404 Å, b = 15.909 Å, c = 4.206 Å
α = 90.00°, β = 90.00°, γ = 90.00°
Fractional coordinates of all 12 atoms:
1 Tb 0.000 0.000 0.000
2 Tb 0.000 0.171 0.500
3 Tb 0.000 0.829 0.500
4 Tb 0.500 0.329 0.500
5 Tb 0.500 0.500 0.000
6 Tb 0.500 0.671 0.500
7 Sn 0.000 0.500 0.500
8 Sn 0.500 0.000 0.500
9 Ge 0.000 0.346 0.000
10 Ge 0.000 0.654 0.000
11 Ge 0.500 0.154 0.000
12 Ge 0.500 0.846 0.000

* * * * *

(1)
Density functional theory data (PBE) for a relaxed structure of NaMgAuSe2.

As for the raw formation energy: -874 meV/atom.

It has space group P2/c (No. 13), with a = 6.0700 Å, b = 6.1202 Å, c = 7.0692 Å, α = 90.00°, β = 90.24° and γ = 90.00°. The distinct sites, in fractional coordinates, are Na at (0.0000, 0.0023, 0.2500), Mg at (0.5000, 0.5002, 0.2500), Au at (0.5000, 0.0000, 0.0000) and Se at (0.2399, 0.3093, 0.9991).

---

(2)
Density functional theory data (PBE) for a relaxed structure of Na2MgSi3Au12.

As for the raw formation energy: -55 meV/atom.